g'day gents... looking for a handful or so of python coders who are interested in helping code an addon for server/league admins.
in the long run, i would like the system to function somewhat similar to the x-system, where the game dumps data into a mysql db for website (php?) interaction as well as in-game interaction.
unfortunately, i only know enough python to ask where the bathroom is, but here is a code sample a friend and i worked on... using some samples from the python API thread:
as you can tell, it sortof stinks... :ices_rofl a lot of features haven't been implemented, and the ones that are there, seem to be broken or are still incomplete. haven't hammered-out a full feature list either, but i would like to have as many features as possible.
if anyone feels daring enough to give this a go, let me know.
Someone pasted records of crystals at this point.
-- begin --
[1]
Diffraction record for Tb2Pm2C3. The PXRD pattern is calculated, not measured: it uses a cell relaxed with PBE and Cu Kα X-rays.
Lines closer than 0.1° are merged.

Principal peaks in the range 2θ = 10–80°, by angle:
| hkl | d_spacing | 2θ/deg | I_rel |
| --- | --- | --- | --- |
| 2 1 1 | 3.305 | 26.97 | 26 |
| 2 2 0 | 2.863 | 31.25 | 100 |
| 3 0 1 | 2.560 | 35.05 | 59 |
| 3 2 1 | 2.164 | 41.74 | 23 |
| 4 1 3 | 1.588 | 58.09 | 37 |
| 5 2 1 | 1.478 | 62.87 | 25 |

Structure:
a = 8.097 Å, b = 8.097 Å, c = 8.097 Å
α = 90.00°, β = 90.00°, γ = 90.00°
Space group I2_13 (No. 199)
Inequivalent atoms, fractional coordinates:
Tb (0.209, 0.209, 0.209) [8 per cell]
Pm (0.044, 0.456, 0.544) [8 per cell]
C (0.000, 0.250, 0.863) [12 per cell]

***

[2]
Diffraction record for HoMnB. The PXRD pattern is calculated, not measured: it uses a cell relaxed with PBE and Cu Kα X-rays.
Lines closer than 0.1° are merged.

Principal peaks in the range 2θ = 10–80°, by angle:
| hkl | d_spacing | 2θ/deg | I_rel |
| --- | --- | --- | --- |
| 1 0 1 | 3.178 | 28.08 | 100 |
| 0 0 3 | 2.627 | 34.14 | 28 |
| 1 0 2 | 2.605 | 34.43 | 41 |
| 1 1 1 | 2.344 | 38.40 | 27 |
| 1 1 2 | 2.084 | 43.42 | 46 |
| 2 1 1 | 1.524 | 60.79 | 24 |

Structure:
a = 3.473 Å, b = 3.473 Å, c = 7.880 Å
α = 90.00°, β = 90.00°, γ = 90.00°
Space group P4/nmm (No. 129, origin choice 2)
Inequivalent atoms, fractional coordinates:
Ho (0.250, 0.250, 0.189) [2 per cell]
Mn (0.250, 0.750, 0.500) [2 per cell]
B (0.250, 0.250, 0.654) [2 per cell]

***

[3]
Diffraction record for Li6Al2Sn. The PXRD pattern is calculated, not measured: it uses a cell relaxed with PBE and Cu Kα X-rays.
Lines closer than 0.1° are merged.

Principal peaks in the range 2θ = 10–80°, by angle:
| hkl | d_spacing | 2θ/deg | I_rel |
| --- | --- | --- | --- |
| 1 0 1 | 5.300 | 16.73 | 59 |
| 1 1 0 | 3.981 | 22.33 | 100 |
| 0 1 2 | 3.551 | 25.08 | 29 |
| 3 0 0 | 2.299 | 39.19 | 38 |
| 1 1 3 | 2.269 | 39.72 | 63 |
| 4 1 3 | 1.321 | 71.39 | 23 |

Structure:
a = 7.9623 Å, b = 7.9623 Å, c = 8.2846 Å
α = 90.00°, β = 90.00°, γ = 120.00°
Space group R-3m (No. 166, hexagonal axes)
Inequivalent atoms, fractional coordinates:
Li (0.0000, 0.3324, 0.0000) [18 per cell]
Al (0.0000, 0.0000, 0.1571) [6 per cell]
Sn (0.0000, 0.0000, 0.5000) [3 per cell]

***

[4]
Diffraction record for Tb2Sm6Se3. The PXRD pattern is calculated, not measured: it uses a cell relaxed with PBE and Cu Kα X-rays.
Lines closer than 0.1° are merged.

Principal peaks in the range 2θ = 10–80°, by angle:
| hkl | d_spacing | 2θ/deg | I_rel |
| --- | --- | --- | --- |
| 0 1 8 | 3.168 | 28.17 | 33 |
| 0 1 11 | 3.025 | 29.53 | 100 |
| 0 1 14 | 2.863 | 31.24 | 28 |
| 1 0 16 | 2.751 | 32.55 | 19 |
| 1 0 19 | 2.583 | 34.73 | 34 |
| 1 1 0 | 1.937 | 46.90 | 48 |

Structure:
a = 3.8747 Å, b = 3.8747 Å, c = 76.8914 Å
α = 90.00°, β = 90.00°, γ = 120.00°
Space group R-3m (No. 166, hexagonal axes)
Inequivalent atoms, fractional coordinates:
Tb (0.0000, 0.0000, 0.0556) [6 per cell]
-- stop --
in the long run, i would like the system to function somewhat similar to the x-system, where the game dumps data into a mysql db for website (php?) interaction as well as in-game interaction.
unfortunately, i only know enough python to ask where the bathroom is, but here is a code sample a friend and i worked on... using some samples from the python API thread:
### header, call pyinsim api and initialize stuff
import getopt, sys
from Pyinsim import *
insim = InSim()
connections = {}
playernames = {}
admins = {}
players = {}
Next to the entry, the page also holds data records:
<<<
CrCdInS4: calculated powder XRD pattern (λ = 1.5418 Å (Cu Kα)), based on the PBE geometry in the Materials Project.
Peak positions follow from Bragg's law for the DFT cell and can differ from measured ones.

Most intense lines, 5° ≤ 2θ ≤ 70°, by angle:
2θ/deg, I/Imax
23.55, 34
27.66, 100
27.88, 26
43.91, 18
44.30, 26
48.18, 50

Structure:
abc: 7.555 7.555 7.555
angles: 120.68 119.77 89.62
Element x y z (fractional)
Cr: 0.500 0.000 0.000
Cr: 0.500 0.500 0.500
Cd: 0.124 0.374 0.750
Cd: 0.876 0.626 0.250
In: 0.000 0.000 0.000
In: 0.500 0.000 0.500
S: 0.273 0.260 0.487
S: 0.273 0.786 0.013
S: 0.285 0.246 0.038
S: 0.292 0.754 0.538
S: 0.708 0.246 0.462
S: 0.715 0.754 0.962
S: 0.727 0.214 0.987
S: 0.727 0.740 0.513

Mg5Sb: calculated powder XRD pattern (λ = 1.5418 Å (Cu Kα)), based on the PBE geometry in the Materials Project.
Peak positions follow from Bragg's law for the DFT cell and can differ from measured ones.

Most intense lines, 5° ≤ 2θ ≤ 70°, by angle:
2θ/deg, I/Imax
10.90, 77
19.96, 41
32.08, 32
33.70, 39
36.36, 100
37.28, 47

Structure:
abc: 5.320 8.279 8.279
angles: 22.68 90.00 90.00
Element x y z (fractional)
Mg: 0.000 0.000 0.000
Mg: 0.000 0.332 0.332
Mg: 0.000 0.665 0.665
Mg: 0.500 0.219 0.219
Mg: 0.500 0.556 0.556
Sb: 0.500 0.889 0.889

La4Tm11S22: calculated powder XRD pattern (λ = 1.5418 Å (Cu Kα)), based on the PBE geometry in the Materials Project.
Peak positions follow from Bragg's law for the DFT cell and can differ from measured ones.

Most intense lines, 5° ≤ 2θ ≤ 70°, by angle:
2θ/deg, I/Imax
23.55, 79
24.23, 100
26.36, 63
27.63, 65
31.45, 62
42.05, 55

Structure:
abc: 19.684 19.684 11.334
angles: 91.38 91.38 11.53
Element x y z (fractional)
La: 0.104 0.104 0.012
La: 0.367 0.367 0.348
La: 0.633 0.633 0.652
La: 0.896 0.896 0.988
Tm: 0.000 0.000 0.000
Tm: 0.069 0.069 0.361
Tm: 0.202 0.202 0.942
Tm: 0.264 0.264 0.352
Tm: 0.342 0.342 0.699
Tm: 0.462 0.462 0.271
Tm: 0.538 0.538 0.729
Tm: 0.658 0.658 0.301
Tm: 0.736 0.736 0.648
Tm: 0.798 0.798 0.058
Tm: 0.931 0.931 0.639
S: 0.008 0.008 0.239
S: 0.087 0.087 0.752
S: 0.134 0.134 0.451
S: 0.169 0.169 0.153
S: 0.189 0.189 0.692
S: 0.255 0.255 0.119
S: 0.280 0.280 0.590
S: 0.350 0.350 0.091
S: 0.407 0.407 0.786
S: 0.446 0.446 0.495
S: 0.454 0.454 0.032
S: 0.546 0.546 0.968
S: 0.554 0.554 0.505
S: 0.593 0.593 0.214
S: 0.650 0.650 0.909
S: 0.720 0.720 0.410
S: 0.745 0.745 0.881
S: 0.811 0.811 0.308
S: 0.831 0.831 0.847
S: 0.866 0.866 0.549
S: 0.913 0.913 0.248
S: 0.992 0.992 0.761

Ta6V3Co3C2: calculated powder XRD pattern (λ = 1.5418 Å (Cu Kα)), based on the PBE geometry in the Materials Project.
Peak positions follow from Bragg's law for the DFT cell and can differ from measured ones.

Most intense lines, 5° ≤ 2θ ≤ 70°, by angle:
2θ/deg, I/Imax
31.04, 26
33.90, 25
38.27, 58
40.69, 100
44.46, 20
69.14, 37

Structure:
abc: 8.150 8.150 8.150
angles: 120.15 119.94 89.92
Element x y z (fractional)
Ta: 0.000 0.000 0.000
Ta: 0.000 0.002 0.618
Ta: 0.000 0.382 0.999
Ta: 0.249 0.133 0.501
>>>
Here the entry continues:
### Global Vars
### help options
def PrintTodo():
print "LFSapp TODO: exit cleanly if server dies/exits, reconnect mechanism?"
print "LFSapp TODO: configurable settings in a config file"
print "LFSapp TODO: split up server admin stuff and league admin stuff"
print "LFSapp TODO: better detection of insim login issues, app terminates without error if wrong password"
print "LFSapp TODO: more features, implementing http://hamiltonshells.ca/~chris/images/games/lfs/lfsapp-proposal.png"
print "LFSapp TODO: crash on unhandled exception errors"
def PrintHelp():
print "Usage: LFSapp [options]"
print "\t\t-t,--todo\t\tPrints Todo List"
print "\t\t-v,--version\t\tPrints Version Info"
print "\t\t-h,--help\t\tPrints This Help Message"
def PrintVersion():
print "LFSapp v. ", VERSION
### message commands
def CommandBeached(UCID, PName):
print "UCID", UCID, "has beached"
insim.SendP(Packet(ISP_MTC, UCID=UCID, Msg="Moving to spectators")) # sends message packet back to user
#insim.SendP(Packet(ISP_MST, Msg=("/spec " + PName))) # this throws an error, something about concatenating a string and a variable?
print "LFSapp TODO: don't let this command work on users not in race"
print "LFSapp TODO: find out how to obtain player names so we can enable the ISP_MST"
def CommandHelp(UCID):
print "UCID", UCID, "used !help command"
insim.SendP(Packet(ISP_MTC, UCID=UCID, Msg="Help test")) # sends message packet back to user
print "LFSapp TODO: make a help GUI, or at least a command list"
def CommandQuit(UCID, Admin, PName): # only people with physical access to the server console itself can use this!!
if UCID == 0:
print "UCID", UCID, "has terminated LFSapp"
elif UCID != 0:
print "UCID", UCID, "tried to terminate LFSapp"
elif Admin == 1:
print "PName", PName, "has terminated LFSapp"
elif Admin != 1:
print "PName", PName, "tried to terminate LFSapp"
#print "LFSapp TODO: acquire admin flag from IS_NCN and allow those too"
def CommandReport(UCID):
print "UCID", UCID, "used !report command"
insim.SendP(Packet(ISP_MTC, UCID=UCID, Msg="Report test")) # sends message packet back to user
print "LFSapp TODO: make this actually work"
### game internals
def ConnectionJoined(ncn):
connections[ncn["UCID"]] = ncn
admins[ncn["Admin"]] = ncn
def ConnectionLeft(cnl):
del connections[cnl["UCID"]]
del admins[cnl["PName"]]
def PlayerJoined(npl):
players[npl["PLID"]] = npl
playernames[ncn["PName"]] = npl
def PlayerLeft(pll):
del players[pll["PLID"]]
del playernames[cnl["PName"]]
def JoinedMultiplayer(ism):
# Request all connections and players to be sent.
insim.SendP(Packet(ISP_TINY, ReqI=1, SubT=TINY_NCN))
insim.SendP(Packet(ISP_TINY, ReqI=1, SubT=TINY_NPL))
### message parser
def MessageReceived(mso):
commands = mso["Msg"][mso["TextStart"]:].split(" ")
if commands[0] == "!beached":
elif commands[0] == "!help":
elif commands[0] == "!quit":
elif commands[0] == "!report":
### startup block
def SetupAndRun():
### Entering main block when no arguments are passed
# list of packets this app uses
insim.RegisterPackets({ISP_MSO: MessageReceived,
ISP_NCN: ConnectionJoined,
ISP_CNL: ConnectionLeft,
ISP_NPL: PlayerJoined,
ISP_PLL: PlayerLeft,
ISP_ISM: JoinedMultiplayer}) # packet-type:def-name
# footer, contains server connection information
insim.Connect(SERVER_NAME, SERVER_PORT) # server ip and insim port
except Exception, (msg):
print "Error while establishing connection to server: ", msg
Materials data that have nothing to do with the page:
'''
# 1
This entry pairs a crystal structure of Na3AlF6 with its calculated X-ray powder pattern. Radiation: Cu Kα (weighted mean of Kα1 and Kα2). Structure: a structure optimized by DFT (GGA-PBE).
Lines closer than 0.1° are merged.

Atomic structure:
```
data_Na3AlF6
_chemical_formula_sum 'Na3 Al1 F6'
_cell_length_a 5.666
_cell_length_b 5.666
_cell_length_c 5.666
_cell_angle_alpha 60.00
_cell_angle_beta 60.00
_cell_angle_gamma 60.00
_symmetry_space_group_name_H-M 'P 1'
_symmetry_Int_Tables_number 1
_symmetry_space_group_name_Hall 'P 1'
loop_
_atom_site_label
_atom_site_type_symbol
_atom_site_fract_x
_atom_site_fract_y
_atom_site_fract_z
Na1 Na 0.000 0.000 0.000
Na2 Na 0.250 0.250 0.250
Na3 Na 0.750 0.750 0.750
Al1 Al 0.500 0.500 0.500
F1 F 0.273 0.273 0.727
F2 F 0.273 0.727 0.273
F3 F 0.273 0.727 0.727
F4 F 0.727 0.273 0.273
F5 F 0.727 0.273 0.727
F6 F 0.727 0.727 0.273
```

The 10 most intense peaks (2θ from 15° to 90°), by intensity:
2theta	d [Å]	I/Imax
45.27	2.003	1000
38.93	2.313	586
31.58	2.833	540
65.94	1.417	493
22.19	4.007	356
56.24	1.636	181
19.18	4.626	145
83.60	1.157	136
74.96	1.267	116
79.31	1.208	85

***

# 2
This entry pairs a crystal structure of TaMo2W2Se10 with its calculated X-ray powder pattern. Radiation: Cu Kα (weighted mean of Kα1 and Kα2). Structure: a structure optimized by DFT (GGA-PBE).
Lines closer than 0.1° are merged.

Atomic structure:
```
data_TaMo2W2Se10
_chemical_formula_sum 'Ta2 Mo4 W4 Se20'
_cell_length_a 3.357
_cell_length_b 3.357
_cell_length_c 67.370
_cell_angle_alpha 90.00
_cell_angle_beta 90.00
_cell_angle_gamma 120.00
_symmetry_space_group_name_H-M 'P 1'
_symmetry_Int_Tables_number 1
_symmetry_space_group_name_Hall 'P 1'
loop_
_atom_site_label
_atom_site_type_symbol
_atom_site_fract_x
_atom_site_fract_y
_atom_site_fract_z
Ta1 Ta 0.000 0.000 0.000
Ta2 Ta 0.000 0.000 0.200
Mo1 Mo 0.000 0.000 0.400
Mo2 Mo 0.000 0.000 0.600
Mo3 Mo 0.000 0.000 0.800
Mo4 Mo 0.667 0.333 0.900
W1 W 0.667 0.333 0.100
W2 W 0.667 0.333 0.300
W3 W 0.667 0.333 0.500
W4 W 0.667 0.333 0.700
Se1 Se 0.000 0.000 0.075
Se2 Se 0.000 0.000 0.125
Se3 Se 0.000 0.000 0.275
Se4 Se 0.000 0.000 0.325
Se5 Se 0.000 0.000 0.475
Se6 Se 0.000 0.000 0.525
Se7 Se 0.000 0.000 0.675
Se8 Se 0.000 0.000 0.725
Se9 Se 0.000 0.000 0.875
Se10 Se 0.000 0.000 0.925
Se11 Se 0.667 0.333 0.026
Se12 Se 0.667 0.333 0.174
Se13 Se 0.667 0.333 0.226
Se14 Se 0.667 0.333 0.375
Se15 Se 0.667 0.333 0.425
Se16 Se 0.667 0.333 0.575
Se17 Se 0.667 0.333 0.625
Se18 Se 0.667 0.333 0.775
Se19 Se 0.667 0.333 0.825
Se20 Se 0.667 0.333 0.974
```

The 10 most intense peaks (2θ from 15° to 90°), by intensity:
2theta	d [Å]	I/Imax
36.83	2.441	1000
45.92	1.976	545
30.75	2.907	393
54.68	1.679	297
80.85	1.189	191
67.76	1.383	166
33.57	2.669	145
74.11	1.279	133
56.50	1.629	127
54.48	1.684	99

***

# 3
This entry pairs a crystal structure of UGeO2 with its calculated X-ray powder pattern. Radiation: Cu Kα (weighted mean of Kα1 and Kα2). Structure: a structure optimized by DFT (GGA-PBE).
'''
insim.SendP(Packet(ISP_ISI, Admin=ADMIN, IName=INAME, Flags=ISF_MCI | ISF_LOCAL, Interval=500)) # admin="yourpassword"
print "Connected to server, check for InSim connect on host"
### Main block
if __name__ == "__main__":
### Commandline arguments
# t, v, h are the short form options
shortArgs = "tvh"
longArgs = ["todo","version","help"]
### Grab the options and arguments from the commandline
opts,args = getopt.getopt(sys.argv[1:], shortArgs, longArgs);
### Check each option and assocaited arguments and act accordingly
for opt, arg in opts:
if opt in ("-t", "--todo"):
elif opt in ("-v", "--version"):
elif opt in ("-h", "--help"):
except getopt.GetoptError:
as you can tell, it sortof stinks... :ices_rofl a lot of features haven't been implemented, and the ones that are there, seem to be broken or are still incomplete. haven't hammered-out a full feature list either, but i would like to have as many features as possible.
if anyone feels daring enough to give this a go, let me know.